Corporate Venture Capital Investments.


We are in the midst of developing several research initiatives on corporate venture capital (CVC) investments, where an established, corporate firm takes a minority-equity position in a startup for strategic purposes (i.e., not strictly financial).

If you are a large, established corporate firm or an entrepreneurial startup, we would love the chance to meet you. Please contact us.

An integral part of creating a sustainable competitive advantage is for established corporations to acquire knowledge external to their boundaries (Anand, Capron, & Mitchell, 2005; Dess et al., 2003).

Past research has identified several ways in which established corporations acquire external knowledge. For instance, corporations have emphasized strategic alliances, joint ventures, license agreements, and mergers and acquisitions (Zhang et al., 2007).

More recently, corporations have also engaged in other practices such as corporate venture capital (CVC) investments, whereby corporations make direct minority equity investments in external entrepreneurial startups in domains of future strategic importance to the focal corporation (Chesbrough, 2003; Dushnitsky & Lenox, 2005).

First deployed in the 1960s, there were as many deployments of corporate venturing programs in 2012 alone than in all the years preceding 2004 (GCV, 2014). Furthermore, investment by corporate venturers represents 16 percent of total European venture and growth capital investment. Similarly, the share of investment by corporate venturers in the U.S. constitutes 24 percent of all venture dollars invested (up from 11 percent in 2011) and 25 percent of all venture deals (CB Insights, 2015).

Strategic joint collaboration by means of CVC investments allows corporations to go beyond their “steady-states” to achieve a sustained competitive advantage, by accessing knowledge pools situated in external entrepreneurial startups (Wadhwa & Kotha, 2006).

The rationale for corporations seeking to establish inter-organizational relationships (IORs) with external entrepreneurial startups is that the latter are more likely to work on research and development (R&D) projects that are more novel and riskier than that of a corporation. The acquisition and redeployment of external technologies is an important means by which established corporations renew and extend their innovation capabilities and resources (Agarwal & Helfat, 2009; Capron & Mitchell, 2009).

In this manner, CVC investments are considered by corporations as complementary to their existing internal R&D resource bases. As knowledge recombination across organizational boundaries is consequently enacted at various levels (e.g., individuals, teams, units, organizations), CVC investments reflect Powell et al.’s (1996) observation that the locus of innovation will be increasingly developed in “networks of learning” rather than anchored inside a particular organization. It is apparent that networked individuals / teams / organizations best represents how technological and product / service innovation will be produced in the foreseeable future.

Misplaced calculated crystals.
1.
## LiGaBiPd (PBE)

Data for a geometry-optimized LiGaBiPd structure.

The crystal system is cubic. For the energy of formation, the calculation gives -310 meV per atom.

abc: 4.748 4.748 4.748
angles: 60.00 60.00 60.00
Positions (direct):
Li (0.500, 0.500, 0.500)
Bi (0.750, 0.750, 0.750)
Ga (0.250, 0.250, 0.250)
Pd (0.000, 0.000, 0.000)

---

2.
## Na2Tl2P (PBE)

Data for a geometry-optimized Na2Tl2P structure.

The crystal system is tetragonal. For the energy of formation, the calculation gives 20 meV per atom.

abc: 7.505 7.505 4.932
angles: 90.00 90.00 90.00
Positions (direct):
Na (0.170, 0.670, 0.500)
Na (0.670, 0.830, 0.500)
P (0.000, 0.000, 0.000)
Tl (0.855, 0.645, 0.000)
Tl (0.645, 0.145, 0.000)
Tl (0.355, 0.855, 0.000)
P (0.500, 0.500, 0.000)
Na (0.330, 0.170, 0.500)
Na (0.830, 0.330, 0.500)
Tl (0.145, 0.355, 0.000)

---

| no. | density of states at the Fermi level (states/eV/f.u.) | electronic total energy (eV/atom) | volume (Å³ per atom) |
| --- | --- | --- | --- |
| 1 | 3.451 | -3.81 | 18.93 |
| 2 | 1.683 | -2.54 | 27.78 |

~~~~~

1.
Material: CaSb2IrW
Method: DFT, PBE
State: optimized geometry

Summary:
**Raw formation energy**: 2395.4 meV/atom
**SG**: P4/mmm

abc: 5.2926 5.2926 4.6273
angles: 90.00 90.00 90.00
Closest atoms and distances in Å follow each position.
Element x y z (fractional)
Ca 0.0000 0.0000 0.0000  2 W 2.31
Sb 0.0000 0.5000 0.0000  2 Ca 2.65
Sb 0.5000 0.0000 0.0000  2 Ca 2.65
Ir 0.5000 0.5000 0.5000  8 Sb 3.52, 4 W 3.74
W 0.0000 0.0000 0.5000  2 Ca 2.31



2.
Material: Ca2ScIr
Method: DFT, PBE
State: optimized geometry

Summary:
**Formation enthalpy at 0 K**: 17 kJ per mole of atoms
**SG**: R-3m

abc: 3.4072 3.4072 31.0980
angles: 90.00 90.00 120.00
Closest atoms and distances in Å follow each position.
Element x y z (fractional)
Ca 0.0000 0.0000 0.2334  3 Ir 2.86
Ca 0.0000 0.0000 0.7666  3 Ir 2.86
Ca 0.3333 0.6667 0.4333  3 Ir 2.86
Ca 0.3333 0.6667 0.9000  3 Ir 2.86
Ca 0.6667 0.3333 0.1000  3 Ir 2.86
Ca 0.6667 0.3333 0.5667  3 Ir 2.86
Sc 0.0000 0.0000 0.0000  6 Sc 3.41, 6 Ca 3.68
Sc 0.3333 0.6667 0.6667  6 Sc 3.41, 6 Ca 3.68
Sc 0.6667 0.3333 0.3333  6 Sc 3.41, 6 Ca 3.68
Ir 0.0000 0.0000 0.5000  6 Ca 2.86
Ir 0.3333 0.6667 0.1667  6 Ca 2.86
Ir 0.6667 0.3333 0.8333  6 Ca 2.86



3.
Material: CaScIr2
Method: DFT, PBE
State: optimized geometry

Summary:
**Formation enthalpy at 0 K**: -20 kJ per mole of atoms
**SG**: Pmm2

abc: 2.9662 4.4682 5.7005
angles: 90.00 90.00 90.00
Closest atoms and distances in Å follow each position.
Element x y z (fractional)
Ca 0.0000 0.0000 0.0000  6 Ir 2.83-2.88, 2 Ca 2.97
Sc 0.5000 0.5000 0.6406  5 Ir 2.59-2.81
Ir 0.0000 0.0000 0.4961  4 Sc 2.81, 2 Ca 2.83-2.87, 2 Ir 2.97
Ir 0.5000 0.5000 0.1856  1 Sc 2.59, 4 Ca 2.88



4.
Material: Ca2ScIr
Method: DFT, PBE
State: optimized geometry

Summary:
**Formation enthalpy at 0 K**: -22 kJ per mole of atoms
**SG**: R3m

abc: 3.9675 3.9675 27.4717
angles: 90.00 90.00 120.00
Closest atoms and distances in Å follow each position.

Despite the growing importance of CVC investments we know relatively little about the antecedents and outcomes of this phenomenon. Literature in the field of strategic management has seldom investigated either the formation of CVC programs or their consequences. For instance, we lack insight into how corporations organize to facilitate productive dyadic relationships between the CVC program and the corporation and between the CVC program and external startups. Specifically, there is a paucity of scholarship on how the organization of CVC affects the flow of knowledge between external startups and the corporation. The current literature treats CVC investments principally as a “black box” with an emphasis on the financial returns to startups and / or corporations. As such activities strategically complement internal R&D activities, it is worthwhile to investigate the structural and relational characteristics that facilitate knowledge recombination and make these CVC programs successful.


Working Paper. Searching Beyond the Horizon: Opportunity & Motive in CVC Investments. Eckblad, J., Devarakonda, S., Duysters, G. 2020.